[File]
-- begin --
Entry 1:
VASP calculation (PBE-GGA) on Rb2LiGaF6 after structural relaxation.

```
Rb2LiGaF6
1.0
0.000 4.165 4.165
4.165 0.000 4.165
4.165 4.165 0.000
Rb Li Ga F
2 1 1 6
direct
0.250 0.250 0.250 Rb
0.750 0.750 0.750 Rb
0.500 0.500 0.500 Li
0.000 0.000 0.000 Ga
0.234 0.234 0.766 F
0.234 0.766 0.766 F
0.766 0.766 0.234 F
0.234 0.766 0.234 F
0.766 0.234 0.766 F
0.766 0.234 0.234 F
```

Computed properties:
Magnetization = 0.00 μB/f.u.
Formation energy from the elements = -3076 meV per atom
DFT total energy = -4.6371 eV/atom

=====

Entry 2:
VASP calculation (PBE-GGA) on Rb2LiGaF6 after structural relaxation.

```
Rb2LiGaF6
1.0
0.324 6.569 7.892
-1.666 1.372 10.044
4.175 2.183 9.130
Rb Li Ga F
4 2 2 12
direct
0.717 0.717 0.717 Rb
0.283 0.283 0.283 Rb
0.872 0.872 0.872 Rb
0.128 0.128 0.128 Rb
0.404 0.404 0.404 Li
0.596 0.596 0.596 Li
0.500 0.500 0.500 Ga
0.000 0.000 0.000 Ga
0.193 0.728 0.193 F
0.807 0.272 0.807 F
0.193 0.193 0.728 F
0.728 0.193 0.193 F
0.807 0.807 0.272 F
0.272 0.807 0.807 F
0.165 0.607 0.607 F
0.607 0.607 0.165 F
0.607 0.165 0.607 F
0.393 0.835 0.393 F
0.835 0.393 0.393 F
0.393 0.393 0.835 F
```

Computed properties:
Magnetization = 0.00 μB/f.u.
Formation energy from the elements = -3090 meV per atom
DFT total energy = -4.6509 eV/atom

=====

Entry 3:
VASP calculation (PBE-GGA) on SrLiGaF6 after structural relaxation.

```
SrLiGaF6
1.0
2.616 -4.531 0.000
2.616 4.531 0.000
0.000 0.000 10.468
Sr Li Ga F
2 2 2 12
direct
0.000 0.000 0.500 Sr
0.000 0.000 0.000 Sr
0.333 0.667 0.750 Li
0.667 0.333 0.250 Li
0.667 0.333 0.750 Ga
0.333 0.667 0.250 Ga
0.641 0.019 0.645 F
0.359 0.981 0.355 F
0.981 0.622 0.645 F
0.641 0.622 0.855 F
0.019 0.378 0.355 F
0.359 0.378 0.145 F
0.378 0.359 0.645 F
0.981 0.359 0.855 F
0.622 0.641 0.355 F
0.019 0.641 0.145 F
0.378 0.019 0.855 F
0.622 0.981 0.145 F
```

Computed properties:
Magnetization = 0.00 μB/f.u.
Formation energy from the elements = -3470 meV per atom
DFT total energy = -5.1745 eV/atom

=====

1.
Entry from the Materials Project database: crystalline Mg6Si5 at its relaxed geometry (PBE).

Unit cell a=6.7701 b=4.0264 c=15.4449 alpha=90.00 beta=92.90 gamma=90.00
Sites, in units of the cell vectors:
Mg 0.0000 0.0000 0.0000
Mg 0.0176 0.0000 0.2304
Mg 0.0362 0.5000 0.4213
Mg 0.1703 0.5000 0.8600
Mg 0.2075 0.5000 0.6513
Mg 0.2491 0.5000 0.0999
Mg 0.4737 0.0000 0.9764
Mg 0.5172 0.0000 0.1900
Mg 0.5459 0.5000 0.4941
Mg 0.7157 0.5000 0.7124
Mg 0.7600 0.5000 0.1007
Mg 0.8699 0.0000 0.5642
Si 0.0187 0.0000 0.7368
Si 0.2416 0.0000 0.5184
Si 0.3246 0.5000 0.2823
Si 0.3610 0.0000 0.3748
Si 0.3956 0.0000 0.7765
Si 0.5027 0.0000 0.6267
Si 0.7235 0.5000 0.2826
Si 0.7345 0.0000 0.3827
Si 0.7536 0.5000 0.9242
Si 0.7653 0.0000 0.8370

Results
The calculation puts the formation energy at 1.177 eV per formula unit. For the excess energy over the best structure of this formula in the dataset, the calculation gives 74 meV/atom. Its calculated volume is 19.11 A^3/atom.


2.
Entry from the Materials Project database: crystalline Pb2IOF at its relaxed geometry (PBE).

Unit cell a=7.5131 b=7.5131 c=6.0286 alpha=90.00 beta=90.00 gamma=132.88
Sites, in units of the cell vectors:
Pb 0.0925 0.9075 0.7809
Pb 0.4075 0.5925 0.7809
Pb 0.5925 0.4075 0.2191
Pb 0.9075 0.0925 0.2191
I 0.2500 0.7500 0.2413
I 0.7500 0.2500 0.7587
O 0.2500 0.2500 0.0000
O 0.7500 0.7500 0.0000
F 0.2500 0.2500 0.5000
F 0.7500 0.7500 0.5000

Results
The calculation puts the formation energy at -8.262 eV per formula unit. Its calculated volume is 24.93 A^3/atom.


3.
Entry from the Materials Project database: crystalline Sr4CeSm3Nb2Cu4O20 at its relaxed geometry (PBE).

Unit cell a=3.9386 b=3.9386 c=29.0857 alpha=90.00 beta=90.00 gamma=90.00
Sites, in units of the cell vectors:
Sr 0.0000 0.0000 0.0000
Sr 0.0000 0.0000 0.1634
Sr 0.5000 0.5000 0.4939
Sr 0.5000 0.5000 0.6581
Ce 0.0000 0.0000 0.8718
Sm 0.0000 0.0000 0.2869
Sm 0.5000 0.5000 0.3698
Sm 0.5000 0.5000 0.7837
Nb 0.0000 0.0000 0.5777
Nb 0.5000 0.5000 0.0786
Cu 0.0000 0.0000 0.4352
-- stop --
[Exercise]
The reader should count the lines above that contain the word "beta" and give the number alone.
[Result]
3